Dolly Parton Turns On Tony Romo, Heidi Klum Gives Thanks In Lingerie & A Legless Turkey On Thanksgiving
Welcome to a Black Friday Nightcaps -- the one where I'm currently SWEATING over my Miami Dolphins like Tony Romo sweated over Dolly Parton.
Unreal development during an otherwise slow news day, huh? 77-year-old Dolly Parton turning on America out of nowhere was certainly not on my 2023 Bingo card, but it's certainly one I'm happy we got.
We'll delve into Dallas Dolly Parton here in a bit, because I think HR is having a nice little sitdown with Tony as we speak. Lord knows Jim Nantz is.
What else should we hit on today as you all sit in line at the Sears for Black Friday? Heidi Klum spending Thanksgiving Day the same way she does the other 364 days of the year? Sure!
(That's naked, by the way).
Masters Girl and her ex-cheerleader mom stealing hearts at the Macy's Thanksgiving Day parade? Absolutely. We called it Monday so we get our flowers today.
We'll also check in on the state of the USF football program, Chad Johnson's engagement ring, and maybe talk about my Thanksgiving morning, which may have just been the most miserable one I've ever experienced.
**Crystal structures from another source follow:**
┌──
Entry 1:
Theoretical XRD peak list
Compound: Tb4Y9Tl11
Radiation: a wavelength of 1.5418 Å
Structure: DFT lattice parameters and positions (GGA-PBE)
Neutral-atom scattering factors, no anomalous dispersion.

Cell and atoms:
Unit cell a=16.2651 b=22.9276 c=3.5922 alpha=90.00 beta=90.00 gamma=90.00
Space group Cmmm (No. 65)
Symmetry-distinct sites (fractional):
Tb1 0.1662 0.0816 0.0000 (multiplicity 8)
Y1 0.0000 0.0000 0.0000 (multiplicity 2)
Y2 0.1103 0.4067 0.0000 (multiplicity 8)
Y3 0.1141 0.2286 0.0000 (multiplicity 8)
Tl1 0.0000 0.1237 0.5000 (multiplicity 4)
Tl2 0.0000 0.3142 0.5000 (multiplicity 4)
Tl3 0.0000 0.5000 0.5000 (multiplicity 2)
Tl4 0.2135 0.5000 0.5000 (multiplicity 4)
Tl5 0.2311 0.3205 0.5000 (multiplicity 8)

Principal peaks in the range 5 to 70 degrees two-theta, low angle first:
20.12 deg, 4.413 Å, rel. 19; 32.14 deg, 2.785 Å, rel. 100; 33.28 deg, 2.692 Å, rel. 85; 33.78 deg, 2.653 Å, rel. 52; 34.26 deg, 2.617 Å, rel. 74; 37.51 deg, 2.398 Å, rel. 25; 50.84 deg, 1.796 Å, rel. 23; 58.54 deg, 1.577 Å, rel. 31; 60.83 deg, 1.523 Å, rel. 33; 61.43 deg, 1.509 Å, rel. 19



Entry 2:
Theoretical XRD peak list
Compound: Sc4Bi3H2
Radiation: a wavelength of 1.5418 Å
Structure: DFT lattice parameters and positions (GGA-PBE)
Neutral-atom scattering factors, no anomalous dispersion.

Cell and atoms:
Unit cell a=12.4905 b=9.5596 c=6.3712 alpha=90.00 beta=101.92 gamma=90.00
Space group C2/c (No. 15)
Symmetry-distinct sites (fractional):
Sc1 0.1192 0.2031 0.0275 (multiplicity 8)
Sc2 0.1856 0.4401 0.6206 (multiplicity 8)
Bi1 0.0000 0.4154 0.2500 (multiplicity 4)
Bi2 0.1243 0.1244 0.5624 (multiplicity 8)
H1 0.2134 0.3680 0.9411 (multiplicity 8)

Principal peaks in the range 5 to 70 degrees two-theta, low angle first:
23.45 deg, 3.793 Å, rel. 45; 23.74 deg, 3.748 Å, rel. 54; 25.30 deg, 3.521 Å, rel. 45; 29.23 deg, 3.055 Å, rel. 100; 29.59 deg, 3.019 Å, rel. 55; 31.70 deg, 2.823 Å, rel. 38; 34.90 deg, 2.571 Å, rel. 42; 36.69 deg, 2.449 Å, rel. 39; 36.86 deg, 2.438 Å, rel. 57; 38.00 deg, 2.368 Å, rel. 39



Entry 3:
Theoretical XRD peak list
Compound: Ac2La3Rh3
Radiation: a wavelength of 1.5418 Å
Structure: DFT lattice parameters and positions (GGA-PBE)
Neutral-atom scattering factors, no anomalous dispersion.

Cell and atoms:
Unit cell a=13.3481 b=5.8751 c=14.1446 alpha=90.00 beta=91.88 gamma=90.00
Space group Cm (No. 8)
Symmetry-distinct sites (fractional):
Ac1 0.0000 0.0000 0.0000 (multiplicity 2)
Ac2 0.0151 0.0000 0.3627 (multiplicity 2)
Ac3 0.1297 0.5000 0.5588 (multiplicity 2)
Ac4 0.3218 0.0000 0.8592 (multiplicity 2)
La1 0.1031 0.5000 0.8184 (multiplicity 2)
La2 0.2199 0.5000 0.0506 (multiplicity 2)
La3 0.2271 0.5000 0.3134 (multiplicity 2)
La4 0.3480 0.0000 0.4922 (multiplicity 2)
La5 0.4135 0.0000 0.1832 (multiplicity 2)
La6 0.4236 0.5000 0.6820 (multiplicity 2)
Rh1 0.0166 0.5000 0.9962 (multiplicity 2)
Rh2 0.0290 0.5000 0.3705 (multiplicity 2)
Rh3 0.3060 0.5000 0.8684 (multiplicity 2)
Rh4 0.3316 0.5000 0.4901 (multiplicity 2)
└──
**The crystal structures stop here:**
Sound good? Good!
Let's get this class started, because I've got a heart just waiting to be shattered by the Dolphins here in a bit.
Tony Romo couldn't get enough of Dolly Parton yesterday
We'll start with the same thing everyone and their mother (literally) are talking about today -- 77-year-old Dolly Parton looking like a spring turkey during her Thanksgiving Day Cowboys halftime show.
What a scene. I was stunned when I saw her. Everyone was. What a final act we're getting from Dolly right now. First, she took over Neyland Stadium with Peyton Manning last week, and now she's getting all of America horny during Thanksgiving dinner.
Twitter went nuts, the old dads went nuts, the young bucks went nuts -- everyone lost their minds over Dolly, and rightfully so. She's royalty.
I know she took it on the chin a bit because social media brought up her COVID vaccine support from a few years ago, and that's fair. I get it. But we don't do politics here at Nightcaps. Not on a Black Friday, at least.
+++
1.
For BaSc4Te6, a cell relaxed with GGA-PBE gives the computed powder XRD pattern in this record (Cu Kα X-rays).

Cell and atoms:
a = 7.2569 Å, b = 7.2569 Å, c = 22.0303 Å
α = 90.00°, β = 90.00°, γ = 145.63°
Fractional positions:
Ba (0.1583, 0.8417, 0.7500)
Ba (0.8417, 0.1583, 0.2500)
Sc (0.0938, 0.9062, 0.1239)
Sc (0.0938, 0.9062, 0.3761)
Sc (0.3584, 0.6416, 0.0357)
Sc (0.3584, 0.6416, 0.4643)
Sc (0.6416, 0.3584, 0.5357)
Sc (0.6416, 0.3584, 0.9643)
Sc (0.9062, 0.0938, 0.6239)
Sc (0.9062, 0.0938, 0.8761)
Te (0.0000, 0.0000, 0.0000)
Te (0.0000, 0.0000, 0.5000)
Te (0.1493, 0.8507, 0.2500)
Te (0.2676, 0.7324, 0.5862)
Te (0.2676, 0.7324, 0.9138)
Te (0.4582, 0.5418, 0.1516)
Te (0.4582, 0.5418, 0.3484)
Te (0.5418, 0.4582, 0.6516)
Te (0.5418, 0.4582, 0.8484)
Te (0.7324, 0.2676, 0.0862)
Te (0.7324, 0.2676, 0.4138)
Te (0.8507, 0.1493, 0.7500)

Largest 10 diffraction maxima, by angle, 2θ = 15–90°:
d/Å  I (rel.)
3.307  19.8
3.287  55.8
3.245  82.4
3.112  46.9
3.023  100.0
2.890  38.2
2.144  54.5
2.131  20.8
1.804  22.9
1.789  29.4

---

2.
For Tb2Re3Si5, a cell relaxed with GGA-PBE gives the computed powder XRD pattern in this record (Cu Kα X-rays).

Cell and atoms:
a = 11.0002 Å, b = 11.0002 Å, c = 5.5412 Å
α = 90.00°, β = 90.00°, γ = 90.00°
Fractional positions:
Tb (0.0774, 0.2372, 0.0000)
Tb (0.2372, 0.9226, 0.0000)
Tb (0.2628, 0.4226, 0.5000)
Tb (0.4226, 0.7372, 0.5000)
Tb (0.5774, 0.2628, 0.5000)
Tb (0.7372, 0.5774, 0.5000)
Tb (0.7628, 0.0774, 0.0000)
Tb (0.9226, 0.7628, 0.0000)
Re (0.0000, 0.5000, 0.2500)
Re (0.0000, 0.5000, 0.7500)
Re (0.1231, 0.8529, 0.5000)
Re (0.1471, 0.1231, 0.5000)
Re (0.3529, 0.6231, 0.0000)
Re (0.3769, 0.3529, 0.0000)
Re (0.5000, 0.0000, 0.2500)
Re (0.5000, 0.0000, 0.7500)
Re (0.6231, 0.6471, 0.0000)
Re (0.6471, 0.3769, 0.0000)
Re (0.8529, 0.8769, 0.5000)
Re (0.8769, 0.1471, 0.5000)
Si (0.0000, 0.0000, 0.2432)
Si (0.0000, 0.0000, 0.7568)
Si (0.0280, 0.3143, 0.5000)
Si (0.1723, 0.6723, 0.2500)
Si (0.1723, 0.6723, 0.7500)
Si (0.1857, 0.4720, 0.0000)
Si (0.3143, 0.9720, 0.5000)
Si (0.3277, 0.1723, 0.2500)
Si (0.3277, 0.1723, 0.7500)
Si (0.4720, 0.8143, 0.0000)
Si (0.5000, 0.5000, 0.2568)
Si (0.5000, 0.5000, 0.7432)
Si (0.5280, 0.1857, 0.0000)
Si (0.6723, 0.8277, 0.2500)
Si (0.6723, 0.8277, 0.7500)
Si (0.6857, 0.0280, 0.5000)
Si (0.8143, 0.5280, 0.0000)
Si (0.8277, 0.3277, 0.2500)
Si (0.8277, 0.3277, 0.7500)
Si (0.9720, 0.6857, 0.5000)

Largest 10 diffraction maxima, by angle, 2θ = 15–90°:
d/Å  I (rel.)
3.479  100.0
3.057  35.4
2.946  85.5
2.610  43.8
2.460  54.7
2.404  85.2
2.257  53.8
2.044  40.5
1.952  31.3
1.893  37.6

---

3.
For SrAc3Rh, a cell relaxed with GGA-PBE gives the computed powder XRD pattern in this record (Cu Kα X-rays).

Cell and atoms:
a = 10.8584 Å, b = 10.8584 Å, c = 7.3629 Å
α = 90.09°, β = 90.09°, γ = 101.22°
Fractional positions:
Sr (0.0578, 0.1867, 0.0876)
Sr (0.1867, 0.0578, 0.5876)
Sr (0.8133, 0.9422, 0.4124)
Sr (0.9422, 0.8133, 0.9124)
Ac (0.0604, 0.6841, 0.4106)
Ac (0.1881, 0.5663, 0.9143)
+++
We stick to the trends and the things that make our knees buckle, and Dolly Parton did just that around this time yesterday.
There was a ton of reaction on the internet, but horny Tony Romo not being able to contain himself coming out of the break, and Jim Nantz just praying for a commercial, was by far my favorite:
Masters Girl is a star in New York
Hilarious. Tony Romo annoys the bejesus out of me, but I appreciated that.
Side note: what a fall from grace for Tony. Remember when he burst onto the broadcaster scene a few years back and was must-see TV because he would literally just predict plays before they happened?
And now I feel like we're all just sort of over him. The schtick has run its course. It's just too much now. And God forbid you watch him when he's calling a Bills or Chiefs game. The only two people in this world who turn him on more than Dolly Parton are Josh Allen and Patrick Mahomes.
Moving on ...
I wrote about this earlier today, so check that out for the full story. In the meantime, it turns out Masters Girl was indeed the star we predicted she would be at yesterday's parade. Shocker. Saw that one coming from a mile away.
Anyway, Aaliyah Kikumoto's dad, Charles, is a big Nightcaps guy -- smart! -- and he gave me a little behind-the-scenes in various emails throughout the day.
Couple snippets:
Four pom moms were honored to dance with the girls (aka hot pom mom squad) to round out the age of those dancing on the float. These moms averaged in their 50s so to hang with these girls was impressive. Aj danced for the Denver Nuggets and one of the other moms danced for the Kansas City Chiefs.
The Tech fans that were here wouldn’t be your usual visitors for the parade and holiday weekend. These are God fearing, hard working, blue collar type folks that probably don’t don’t do lines, but I think had a blast this week in this town! Those at the parade around me were wearing cowboy hats, cowboy boots and Texas tech belt buckles.

Legless turkey and powerless fridge on Thanksgiving
What a year for Aaliyah Kikumoto. One day you're a Texas Tech cheerleader, the next you're a Masters Girl, the next you're Thanksgiving Day Parade girl.
And how about the roster of hot cheerleader moms in Lubbock? Didn't know it was a hot bed for that sort of thing, but it's obviously a welcome development.
== Next to the piece, the page also holds materials data ==
1.
Structure and calculated X-ray diffraction stick pattern of Tm3Mg7 (a structure optimized by DFT (PBE); Cu Kα X-rays).
Lines closer than 0.1° are merged.

Cell and atoms:
```
data_Tm3Mg7
_chemical_formula_sum 'Tm6 Mg14'
_cell_length_a 15.8921
_cell_length_b 5.1348
_cell_length_c 6.4439
_cell_angle_alpha 90.00
_cell_angle_beta 107.77
_cell_angle_gamma 90.00
_symmetry_space_group_name_H-M 'C 1 2/m 1'
_symmetry_Int_Tables_number 12
_symmetry_space_group_name_Hall '-C 2y'
loop_
_atom_site_label
_atom_site_fract_x
_atom_site_fract_y
_atom_site_fract_z
Tm1 0.0000 0.0000 0.0000
Tm2 0.2052 0.0000 0.8026
Mg1 0.0000 0.0000 0.5000
Mg2 0.0932 0.5000 0.8716
Mg3 0.1054 0.5000 0.3842
Mg4 0.2005 0.0000 0.3070
```

Peak list (10 most intense, 2θ = 5–70°, in order of rising 2θ)
| 2theta | d_spacing | I/Imax | h k l |
| --- | --- | --- | --- |
| 14.43 | 6.136 | 43 | 0 0 1 |
| 18.24 | 4.863 | 46 | 1 1 0 |
| 23.55 | 3.778 | 68 | 4 0 -1 |
| 24.45 | 3.641 | 89 | 1 1 1 |
| 34.02 | 2.635 | 100 | 3 1 -2 |
| 34.39 | 2.607 | 95 | 5 1 0 |
| 34.74 | 2.582 | 46 | 2 0 2 |
| 34.95 | 2.567 | 46 | 0 2 0 |
| 50.10 | 1.821 | 33 | 2 2 2 |
| 62.31 | 1.490 | 33 | 5 3 0 |

2.
Structure and calculated X-ray diffraction stick pattern of TmMg4 (a structure optimized by DFT (PBE); Cu Kα X-rays).
Lines closer than 0.1° are merged.

Cell and atoms:
```
data_TmMg4
_chemical_formula_sum 'Tm2 Mg8'
_cell_length_a 3.3347
_cell_length_b 3.3347
_cell_length_c 21.9465
_cell_angle_alpha 90.00
_cell_angle_beta 90.00
_cell_angle_gamma 90.00
_symmetry_space_group_name_H-M 'I 4/m m m'
_symmetry_Int_Tables_number 139
_symmetry_space_group_name_Hall '-I 4 2'
loop_
_atom_site_label
_atom_site_fract_x
_atom_site_fract_y
_atom_site_fract_z
Tm1 0.0000 0.0000 0.0000
Mg1 0.0000 0.0000 0.2021
Mg2 0.0000 0.0000 0.3929
```

Peak list (10 most intense, 2θ = 5–70°, in order of rising 2θ)
| 2theta | d_spacing | I/Imax | h k l |
| --- | --- | --- | --- |
| 8.06 | 10.973 | 100 | 0 0 2 |
| 16.15 | 5.487 | 24 | 0 0 4 |
| 24.33 | 3.658 | 11 | 0 0 6 |
| 27.05 | 3.297 | 30 | 1 0 1 |
| 29.44 | 3.034 | 27 | 1 0 3 |
| 33.76 | 2.655 | 62 | 1 0 5 |
| 38.17 | 2.358 | 22 | 1 1 0 |
| 39.07 | 2.305 | 11 | 1 1 2 |
| 57.35 | 1.606 | 13 | 1 1 10 |
| 66.18 | 1.412 | 17 | 2 1 5 |

3.
Structure and calculated X-ray diffraction stick pattern of Tm2Mg3 (a structure optimized by DFT (PBE); Cu Kα X-rays).
Lines closer than 0.1° are merged.

Cell and atoms:
```
data_Tm2Mg3
_chemical_formula_sum 'Tm4 Mg6'
_cell_length_a 3.7162
_cell_length_b 3.7162
_cell_length_c 18.5792
_cell_angle_alpha 90.00
_cell_angle_beta 90.00
_cell_angle_gamma 90.00
_symmetry_space_group_name_H-M 'P 4/m m m'
_symmetry_Int_Tables_number 123
_symmetry_space_group_name_Hall '-P 4 2'
loop_
_atom_site_label
_atom_site_fract_x
_atom_site_fract_y
_atom_site_fract_z
Tm1 0.0000 0.0000 0.1016
Tm2 0.0000 0.0000 0.3015
Mg1 0.0000 0.0000 0.5000
Mg2 0.5000 0.5000 0.0000
Mg3 0.5000 0.5000 0.2016
Mg4 0.5000 0.5000 0.4089
```
Now, you know what was not a welcome development yesterday morning? Waking up to a fridge that's hovering around 60 degrees and rising. Absolute gut-punch.
Of all the days in the year for a fridge to break, Thanksgiving morning would be the absolute last choice.
It was chaos. Panic instantly filled the room (we're staying in Georgia at my sister-in-law's house) and hearts across the living room started to pound.
The raw chicken breasts they just bought? Warm. Gone. Donezo.
The sausage for the cornbread stuffing? Nope. It was basically mush.
The most nerve-wracking part was obviously checking on my turkey I'd rubbed down the night before (hey now!). It was in a pot and covered, so we had a fighting chance. I opened the lid with dread, touched the bird and felt instant relief.
(Boy, those last three sentences would have Tony Romo in a SWEAT!).
It was still cold. Not super cold, but chilled just enough that I knew it was safe. It spent the rest of the morning outside in the pot because it was 35 degrees yesterday morning. What a rush.
Now, did I also mention the bird DID NOT HAVE LEGS?! That's right. My SIL, bless her heart, somehow managed to buy the only turkey in Georgia that didn't come with legs. Didn't even know that was an option, but apparently it is. We referred to it as Tiny Tim the rest of the day for obvious reasons.
Anyway, it still turned out good. It wouldn't sit up straight because there were no legs to balance it, so it was a leaning turkey, but a turkey nonetheless. We actually crushed Thanksgiving dinner seeing as we had two toddlers running around the house all day.
Talk about a comeback story from how the day started:

USF football, Chad Johnson's ring and golfer has a crappy day
If you still haven't purchased your very own electric turkey fryer, just trust me and do it, OK? It'll change your life.
One of the best things I've ever bought. It's never failed in the four Thanksgivings I've had it. I'm sure it's on sale today. You're welcome.
OK, rapid-fire time on the way out!
First up? A quick check-in on the 5-6 USF Bulls ahead of tomorrow's finale against Charlotte:
Hilarious. "Where is the trophy case?" Wooooooof. Not great! There was a time not that long ago when USF was actually pretty good. I know that because I have a brother who was a backup-backup-backup QB there once. True story.
Program stinks now, although a win tomorrow gets them into a bowl game. Let's go, Bulls!
Next? Chad Johnson!
Could you imagine dropping a quarter-million on a ring? My God. Different worlds. Looks like the entire Johnson Clan is living just fine, though.
Again, different worlds.
Finally, how about this hero golfer up in Wisconsin who saved the day by tipping over a porta-john after a carjacker on the loose ran in it after wrecking his car.
Here's the police body cam footage from the aftermath.
Heidi Klum gives thanks on Thanksgiving
Amazing. If you were on the course and saw someone running from the cops barricade themselves in a porta-potty, would you knock it over? I 100% would. Talk about the chance to be a hero.
Love this move. Love this country.
OK, that's all for today. Another short class, I know, but it's a holiday week and I have things to do.
Take us home, Heidi. Happy Thanksgiving!
OutKick Nightcaps is a daily column set to run Monday through Friday at 4 p.m. (roughly, we’re not robots).
Does Tony Romo have a shot with Dolly Parton? Email me at